23 October, 2018


Salah satu jembatan di Batam, saat menghadiri Grace conference ..

Foto dari Shelbywin

Bersama pak Sugi, bro Cun, bro Archi, bro Pondi

20 October, 2018

02 October, 2018

Lahir baru

Lahir baru

Ada pembicaraan antara Yesus dan Nicodemus yang mencetuskan suatu istilah lahir baru, dan istilah ini banyak disalah artikan dari arti yg sesungguhnya.

Ini percakapannya :

Yesus : "Aku berkata kepadamu, sesungguhnya jika seseorang tidak di lahirkan kembali,ia tidak dpt melihat kerajaan Allah.

Nicodemus : "Bagaimana mungkin seorang dilahirkan, kalau ia sudah tua? Dapatkah ia masuk kembali ke rahim ibunya dan dilahirkan lagi?

Yesus: "Aku berkata kepadamu, sesungguhnya jika seorang tidak dilahirkan dari air dan Roh, ia tidak dapat masuk kedalam kerajaan Allah.

Apa yang dilahirkan dari daging, adalah daging, dan apa yang dilahirkan dari Roh, adalah roh. Yohanes 3:3-6.

Percakapan ini tidak ada kaitannya dengan baptisan air. Yesus sedang berbicara tentang dua kelahiran yang diperlukan untuk masuk kedalam kerajaan Allah.
Yang pertama adalah kelahiran natural, artinya seorang dilahirkan sebagai seorang bayi dari ibu manusia.
Yang kedua adalah kelahiran rohani.

Kelahiran natural digambarkan dengan dua cara : dilahirkan dari air"  dan "apa yang dilahirkan dari daging adalah daging".
Kelahiran rohani juga digambarkan dengan dua cara :  "dilahirkan dari Roh" dan "apa yang dilahirkan dari Roh adalah roh".

Ada yang berpendapat bahwa tidak ada keselamatan tanpa melalui baptisan. Itu jauh dari kebenaran.

Attached: crystal structures.
........
(1)
First-principles (GGA-PBE) data for an optimized crystal structure of Sc8AlFe2, as listed in the Alexandria database.

Structure (CIF):
```
data_Sc8AlFe2
_chemical_formula_sum 'Sc16 Al2 Fe4'
_symmetry_space_group_name_H-M 'C 1 2/m 1'
_symmetry_Int_Tables_number 12
_cell_length_a 8.128
_cell_length_b 12.075
_cell_length_c 4.851
_cell_angle_alpha 90.00
_cell_angle_beta 103.86
_cell_angle_gamma 90.00
loop_
_symmetry_equiv_pos_as_xyz
'x,y,z'
'-x,-y,-z'
'-x,y,-z'
'x,-y,z'
'x+1/2,y+1/2,z'
'-x+1/2,-y+1/2,-z'
'-x+1/2,y+1/2,-z'
'x+1/2,-y+1/2,z'
loop_
_atom_site_label
_atom_site_type_symbol
_atom_site_fract_x
_atom_site_fract_y
_atom_site_fract_z
_atom_site_occupancy
Sc1 Sc 0.000 0.247 0.000 1
Sc2 Sc 0.120 0.500 0.806 1
Sc3 Sc 0.195 0.134 0.577 1
Al1 Al 0.000 0.000 0.000 1
Fe1 Fe 0.000 0.317 0.500 1
```

Summary:
E_form, eV per atom: -0.106

(2)
First-principles (GGA-PBE) data for an optimized crystal structure of AcSnHgPt3, as listed in the Alexandria database.

Structure (CIF):
```
data_AcSnHgPt3
_chemical_formula_sum 'Ac4 Sn4 Hg4 Pt12'
_symmetry_space_group_name_H-M 'C m c m'
_symmetry_Int_Tables_number 63
_symmetry_space_group_name_Hall '-C 2c 2'
_cell_length_a 5.879
_cell_length_b 17.732
_cell_length_c 5.891
_cell_angle_alpha 90.00
_cell_angle_beta 90.00
_cell_angle_gamma 90.00
loop_
_atom_site_label
_atom_site_type_symbol
_atom_site_fract_x
_atom_site_fract_y
_atom_site_fract_z
_atom_site_occupancy
Ac1 Ac 0.000 0.213 0.250 1
Sn1 Sn 0.000 0.085 0.750 1
Hg1 Hg 0.000 0.386 0.750 1
Pt1 Pt 0.000 0.234 0.750 1
Pt2 Pt 0.230 0.500 0.000 1
```

Summary:
E_form, eV per atom: -0.519

(3)
First-principles (GGA-PBE) data for an optimized crystal structure of Th4ZnSn, as listed in the Alexandria database.

Structure (CIF):
```
data_Th4ZnSn
_chemical_formula_sum 'Th8 Zn2 Sn2'
_symmetry_space_group_name_H-M 'P 4/m c c'
_symmetry_Int_Tables_number 124
_symmetry_space_group_name_Hall '-P 4 2c'
_cell_length_a 7.651
_cell_length_b 7.651
_cell_length_c 5.988
_cell_angle_alpha 90.00
_cell_angle_beta 90.00
_cell_angle_gamma 90.00
loop_
_atom_site_label
_atom_site_type_symbol
_atom_site_fract_x
_atom_site_fract_y
_atom_site_fract_z
_atom_site_occupancy
Th1 Th 0.149 0.338 0.000 1
Zn1 Zn 0.000 0.000 0.250 1
Sn1 Sn 0.500 0.500 0.250 1
```

Summary:
E_form, eV per atom: -0.256

(4)
First-principles (GGA-PBE) data for an optimized crystal structure of KSi2TePd, as listed in the Alexandria database.

Structure (CIF):
........

Yesus sedang berkata bahwa seorang bayi dikandung secara natural dalam air didalam rahim ibunya. Pada saat ulang tahun 0 ia dilahirkan dari air. Setelah menaruh imannya didalam Yesus Kristus, ia benar benar lahir kedua kalinya secara rohani. Allah memberi kepadanya sebuah roh yang baru, dan Roh Allah datang dan tinggal didalam dia.

Pendapat yg berkata bahwa seseorang harus dimasukan ke dalam air untuk memperoleh kelahiran baru tidak didukung oleh konteks ayat ini.

Masa lalu

Masa lalu


Saudara-saudara, aku sendiri tidak menganggap, bahwa aku telah menangkapnya, tetapi ini yang kulakukan:
aku MELUPAKAN apa yang telah di BELAKANGKU dan MENGARAHKAN diri kepada apa yang di HADAPANKU, dan berlari-lari kepada TUJUAN untuk memperoleh hadiah, yaitu PANGGILAN SORGAWI DARI BAPA DALAM KRISTUS YESUS (Fil 3:13-14).

Apakah Anda sedang menjalani kehidupan dengan penyesalan sambil berpikir,
"Jika saja...."?
"Jika saja aku memiliki pendidikan tinggi itu...
Jika saja aku menikahi wanita yang tepat...
Jika saja aku mengambil tawaran pekerjaan lain itu...
Jika saja aku tidak membuat keputusan yang bodoh..."

Apakah masa lalu Anda sedang merampas SUKACITA Anda hari ini?
Jika demikian LUPAKAN masa lalu Anda!
Anda mungkin berkata,
"Tapi Pak, Anda tidak tahu apa yang telah saya lakukan di masa lalu!"

Bayangkanlah Paulus.
Jika iblis memiliki apapun untuk menentang Paulus, itu adalah ingatan tentang bagaimana ia telah menganiaya gereja mula-mula dan menyebabkan  kematian banyak orang, termasuk Stefanus martir pertama.

Paulus telah melakukan banyak hal yang buruk sehingga sulit baginya untuk melupakan itu.
Tetapi ia memperoleh PEWAHYUAN tentang PENGAMPUNAN Tuhan yang dahsyat sehingga ia dapat berkata,
"Aku MELUPAKAN apa yang telah di belakangku...
dan berlari-lari kepada TUJUAN untuk memperoleh hadiah, yaitu PANGGILAN SORGAWI DARI BAPA DALAM KRISTUS YESUS".

Saudaraku yang terkasih, TUHAN TELAH MENGAMPUNI Anda dari SEMUA DOSA Anda.
Ia TELAH MENGAMPUNI Anda sepenuhnya dengan menyatakan,

Seperti Paulus, Anda dapat MELUPAKAN masa lalu Anda, kesalahan-kesalahan yang Anda telah lakukan dan rasa sakit yang telah Anda timbulkan dalam diri orang lain atau yang telah Anda alami sendiri.
Tuhan dapat mengambil airmata kemarin dan mengubahnya menjadi mukjizat-mukjizat hari esok.
Ia dapat memulihkan kepada Anda kelimpahan yang hilang dari Anda.
Ia dapat menyebabkan semua hal, bahkan peristiwa-peristiwa yang paling menyakitkan dari masa lalu Anda, bekerja bersama untuk mendatangkan KEBAIKAN bagi Anda (Rom 8:28).

Firman Tuhan berkata,
"... dan KEMULIAAN TUHAN barisan belakangmu" (Yes 58:8).
KEMULIAAN-NYA akan menutupi masa lalu Anda.
Kemanapun Anda pergi, KEMULIAAN-NYA akan menutupi masa lalu Anda.
Itu bukan lagi masa lalu yang sama yang Anda kenal, karena KEMULIAAN-NYA telah turun atasnya.
Masa lalu Anda telah lewat.
Masa lalu Anda telah dihapuskan.
Masa lalu Anda telah hilang!
Jadi, jangan biarkan masa lalu Anda merampas SUKACITA Anda hari ini!

Karena KEMULIAAN TUHAN menutupi masa lalu Anda, Anda tidak perlu membiarkan masa lalu Anda merampas SUKACITA Anda hari ini!

JKB Jaringan Kabar Baik +6287821969633.
(Source by Joseph Prince, Revised by Sugiono Sutedjo).

Be Holy For I Am Holy In Context (1 Peter 1:15-16)

By : Brad Robertson

Be Holy For I Am Holy In Context (1 Peter 1:15-16)

So often, when I teach on grace, legalists pridefully ask me this question:

"Doesn't the Bible say that we should be holy for God is holy?"

I always respond "Yes, that is what the Bible says."

Then I ask them, "Do you know where this verse is in the Bible and what the context is?"

I have never had one of these legalists know the context of this verse.

They may know where this verse is in the Bible, but they never know the context.

This verse is found in 1 Peter 1:15-16.

"But just as he who called you is holy, so be holy in all you do; for it is written: "Be holy, because I am holy.'"

The context of these verses is all about God's grace.

1 Peter 1:10-12 says:

"Concerning this salvation, the prophets, who spoke of the GRACE that was to come to you, searched intently and with the greatest care, trying to find out the time and circumstances to which the Spirit of Christ in them was pointing when he predicted the sufferings of the Messiah and the glories that would follow. It was revealed to them that they were not serving themselves but you, when they spoke of the things that have now been told you by those who have preached the gospel to you by the Holy Spirit sent from heaven. Even angels long to look into these things. Therefore, with minds that are alert and fully sober, set your hope on the GRACE to be brought to you when Jesus Christ is revealed at his coming."

The context is grace!

The grace Peter refers to in 1 Peter chapter one is about the salvation spoken of by the prophets in the Old Testament when the Spirit of Jesus in them told of his coming into the world as the Messiah, or King, to establish his kingdom of love, joy, peace, healing, and wholeness.

In this kingdom, the world will no longer live in chaos, being hurt by and hurting one another.

In this kingdom, there will be no more death, deformity, or disease.

There will be no hunger.

There will be no more terrorism or wars.

In this kingdom, the people of the world will live in love. 

Peace will flow all over the world.

Peter writes that the prophets spoke of the sufferings of the Messiah, this coming King, before the glories of his kingdom would be realized.

The sufferings of the King refer to his death.

The prophets searched intently to know more about God's grace to come and when the King would usher in this kingdom of grace.

What we learn from the Old Testament prophets is a Messiah, a King, was coming into the world.

He would wear a crown as King, bringing peace all over the world.

He would bear a cross as Savior, bringing peace to the hearts of people.

The prophets, looking ahead at the grace to come, did not understand all that we do.

They knew the Messiah would die, according to Isaiah 53, and rise from the dead, according to Psalm 16:10.

But they did not understand, as we do, that his death would come through the cross.

Peter even says the angels long to look into "these things", meaning the grace of God coming into the world through the Messiah and flowing throughout the entire world.

Peter, in 1 Peter 1:3-5, delightfully celebrates this coming kingdom of grace and our eternal enjoyment of it.

In 6-9, he speaks of the difficulties we will have to go through on this earth before Jesus comes as King and establishes his kingdom.

Yet, he writes, these difficulties on earth will refine our faith, a faith that is of greater worth than gold.

Peter says we are filled with inexpressible and glorious joy as we await by faith this coming kingdom.

Peter, in joyful anticipation of this King who is coming to establish his kingdom of grace, writes in verse 13 for us to have sober minds, meaning minds that are not intoxicated with Satanic and worldly lies about how to live, but minds that think soundly and morally.

He writes for believers not to conform to the evil desires of the world, which they had before being told about the King of grace and his coming kingdom of grace, but to live holy lives, meaning a lives of moral purity and love in context, on earth as we await this coming King and kingdom.

So we see in 1 Peter 1:3-16 that the motivation for living a holy life comes from the inspiration of grace.

Self-righteous legalists, who are so afraid someone might use grace as a license to sin, never bother to teach about God's grace when telling others to be holy for God is holy.

It never occurs to them that grace is the inspiration for living a holy life.

Instead, taking verses out context, as exemplified by their constant prideful quotation of the verse "Be holy as I am holy", they seek to intimidate people by fear to live a holy life, rather than inspire them by grace.

Dusta setan



Setan adalah ahlinya dusta

Setan tidak akan berkata kepada kita bahwa Tuhan itu jahat dan tidak baik,, tidak demikian.

Jika itu dustanya maka dengan cepat kita akan tahu bahwa itu tidak benar.

Setan akan berkata bahwa Tuhan itu baik dan juga bisa jahat. Tuhan akan memberkati mu hari ini dan besok Dia bisa membawa anda ke dalam masalah.

Dusta seperti ini akan dengan mudah dipercaya, dan banyak orang mempercayainya.

Mereka percaya bahwa Tuhan itu bisa berbuat baik dan juga berbuat jahat kepada mereka.

Yesusku adalah Yesus yang baik, sangat baik dan teramat baik.

Why was Jesus nice but the Old Testament God angry?"

Angry God

Someone asked me the question:
"Why was Jesus nice but the Old Testament God angry?"

My answer:
"Jesus and God are the same - Father and Son are of one heart. It's not as if Jesus was trying to pacify an angry Father.

So then why was God angry in the Old Testament?
It's because the law brings wrath and a curse for those who cannot obey it.
(Romans 4, Galatians 3)

Why did God put man under the law?
It's because man wanted to become perfect and righteous like God by doing good and avoiding evil.
Man did not accept that God simply loved him the way he was but man attempted to gain God's blessing through perfect conduct.
This was the fall of Adam.
When the written law came to Israel....3000 died on the day they received the 10 commandments....

God never wanted man to be under the law and it's wrath.
God's nature is LOVE and not wrath.
But man wanted the law and it's justice....and could never be saved from it's judgment

So then God became a man - in the form of Jesus and He fulfilled the law perfectly...and then He took the punishment of the law on the behalf mankind on the cross.

The law remained from the Cross till the Judgment day.

That is why you see the judgment of Ananias/Sapphira. It's because the Church was under the law.

Then in the 2nd coming in 70aD was the judgment day for those who refused to believe in Christ but held on to the law. They faced the self-appointed wrath that they deserved from the law.

At that time God made a new covenant to never remember sin any more....there is no more judgment.
It's because the law ended in the destruction of Jerusalem and it's Temple in 70AD.

Romans 4 - there is no wrath where there is no law !

The true nature of God has been revealed to humanity AFTER the judgment day - LOVE that does not keep record of wrongs -

"I will remember their sin no more" - Heb 10:17
This is the NEW COVENANT...The old has passed away !"

There is no more judgment - that's why you don't see anyone falling dead in the churches like Ananias/Sapphira today.

God loves everyone unconditionally !"